+++
No. 1
# SrCaNiH6
Simulated X-ray diffraction stick pattern, Cu Ka. Input: a cell relaxed with GGA-PBE.
Kinematic intensities with the Lorentz-polarization factor, no thermal factor.

```
SrCaNiH6
1.0
4.958 0.000 0.000
-2.479 4.294 0.000
0.000 0.000 4.455
Sr Ca Ni H
1 1 1 6
Direct
0.000 0.000 0.000
0.333 0.667 0.504
0.667 0.333 0.700
0.347 0.173 0.500
0.510 0.021 0.917
0.510 0.490 0.917
0.827 0.173 0.500
0.827 0.653 0.500
0.979 0.490 0.917
```

Main lines, by angle (2θ from 15° to 90°):
two_theta	d [Å]	I_rel
28.88	3.092	100
36.24	2.479	56
45.89	1.977	25
46.98	1.934	27
60.74	1.525	23
71.99	1.312	13

No. 2
# CaTmNi2H8
Simulated X-ray diffraction stick pattern, Cu Ka. Input: a cell relaxed with GGA-PBE.
Kinematic intensities with the Lorentz-polarization factor, no thermal factor.

```
CaTmNi2H8
1.0
2.031 1.172 8.085
-2.031 1.172 8.085
0.000 -2.345 8.085
Ca Tm Ni H
1 1 2 8
Direct
0.000 0.000 0.000
0.500 0.500 0.500
0.245 0.245 0.245
0.755 0.755 0.755
0.028 0.028 0.581
0.028 0.581 0.028
0.311 0.311 0.311
0.419 0.972 0.972
0.581 0.028 0.028
0.689 0.689 0.689
0.972 0.419 0.972
0.972 0.972 0.419
```

Main lines, by angle (2θ from 15° to 90°):
two_theta	d [Å]	I_rel
25.59	3.481	17
29.35	3.043	100
39.23	2.297	45
44.62	2.031	32
54.31	1.689	18
65.11	1.433	19

No. 3
# Ca3H4O5
Simulated X-ray diffraction stick pattern, Cu Ka. Input: a cell relaxed with GGA-PBE.
Kinematic intensities with the Lorentz-polarization factor, no thermal factor.

```
Ca3H4O5
1.0
3.553 0.000 0.000
-1.777 3.077 0.000
0.000 0.000 13.228
Ca H O
3 4 5
Direct
0.000 0.000 0.000
0.333 0.667 0.605
0.667 0.333 0.395
0.333 0.667 0.233
0.333 0.667 0.838
0.667 0.333 0.162
0.667 0.333 0.767
0.000 0.000 0.500
0.333 0.667 0.307
0.333 0.667 0.912
0.667 0.333 0.088
0.667 0.333 0.693
```

Main lines, by angle (2θ from 15° to 90°):
two_theta	d [Å]	I_rel
20.14	4.409	39
29.81	2.997	45
32.08	2.790	39
35.58	2.524	100
40.02	2.253	68
51.43	1.777	53
+++

What is needed: print only the last part of the data earlier on, starting with the line that has "0.510 0.021".

0.510 0.021 0.917
0.510 0.490 0.917
0.827 0.173 0.500
0.827 0.653 0.500
0.979 0.490 0.917
```

Main lines, by angle (2θ from 15° to 90°):
two_theta	d [Å]	I_rel
28.88	3.092	100
36.24	2.479	56
45.89	1.977	25
46.98	1.934	27
60.74	1.525	23
71.99	1.312	13

No. 2
# CaTmNi2H8
Simulated X-ray diffraction stick pattern, Cu Ka. Input: a cell relaxed with GGA-PBE.
Kinematic intensities with the Lorentz-polarization factor, no thermal factor.

```
CaTmNi2H8
1.0
2.031 1.172 8.085
-2.031 1.172 8.085
0.000 -2.345 8.085
Ca Tm Ni H
1 1 2 8
Direct
0.000 0.000 0.000
0.500 0.500 0.500
0.245 0.245 0.245
0.755 0.755 0.755
0.028 0.028 0.581
0.028 0.581 0.028
0.311 0.311 0.311
0.419 0.972 0.972
0.581 0.028 0.028
0.689 0.689 0.689
0.972 0.419 0.972
0.972 0.972 0.419
```

Main lines, by angle (2θ from 15° to 90°):
two_theta	d [Å]	I_rel
25.59	3.481	17
29.35	3.043	100
39.23	2.297	45
44.62	2.031	32
54.31	1.689	18
65.11	1.433	19

No. 3
# Ca3H4O5
Simulated X-ray diffraction stick pattern, Cu Ka. Input: a cell relaxed with GGA-PBE.
Kinematic intensities with the Lorentz-polarization factor, no thermal factor.

```
Ca3H4O5
1.0
3.553 0.000 0.000
-1.777 3.077 0.000
0.000 0.000 13.228
Ca H O
3 4 5
Direct
0.000 0.000 0.000
0.333 0.667 0.605
0.667 0.333 0.395
0.333 0.667 0.233
0.333 0.667 0.838
0.667 0.333 0.162
0.667 0.333 0.767
0.000 0.000 0.500
0.333 0.667 0.307
0.333 0.667 0.912
0.667 0.333 0.088
0.667 0.333 0.693
```

Main lines, by angle (2θ from 15° to 90°):
two_theta	d [Å]	I_rel
20.14	4.409	39
29.81	2.997	45
32.08	2.790	39
35.58	2.524	100
40.02	2.253	68
51.43	1.777	53